### What to do
The reader should work out how many lines below have the word "one" in them; a number is enough.

### File
First-principles (GGA-PBE) data for a geometry-optimized Cs3Cd4Hg2 structure, as listed in the Alexandria database. Values from VASP.

Summary:
space-group type	C2/m
V	380.3	Å³ per cell
DFT formation energy	-95	kJ/mol of formula units
offset from the most stable computed form	0.000	eV/atom

Structure (Quantum ESPRESSO input):
```
&SYSTEM
  ibrav = 0, nat = 9, ntyp = 3
/
ATOMIC_SPECIES
Cs 132.91 Cs.upf
Cd 112.41 Cd.upf
Hg 200.59 Hg.upf
CELL_PARAMETERS angstrom
6.939 -2.529 0.000
6.939 2.529 0.000
-4.797 0.000 10.836
ATOMIC_POSITIONS angstrom
Cs 0.000 0.000 0.000
Cs 4.157 0.000 3.370
Cs 4.924 0.000 7.465
Cd 0.423 0.000 4.704
Cd -0.791 0.000 10.226
Cd 9.872 0.000 0.610
Cd 8.658 0.000 6.131
Hg 1.031 0.000 7.777
Hg 8.049 0.000 3.058
```

First-principles (GGA-PBE) data for a geometry-optimized CsCd6Hg12 structure, as listed in the Alexandria database. Values from VASP.

Summary:
space-group type	R-3m
V	539.0	Å³ per cell
DFT formation energy	-62	kJ/mol of formula units

Structure (Quantum ESPRESSO input):
```
&SYSTEM
  ibrav = 0, nat = 19, ntyp = 3
/
ATOMIC_SPECIES
Cs 132.91 Cs.upf
Cd 112.41 Cd.upf
Hg 200.59 Hg.upf
CELL_PARAMETERS angstrom
6.605 3.813 3.567
-6.605 3.813 3.567
0.000 -7.627 3.567
ATOMIC_POSITIONS angstrom
Cs 0.000 0.000 0.000
Cd 0.000 -3.245 4.525
Cd -2.811 1.623 4.525
Cd -2.811 -1.623 6.175
Cd 2.811 1.623 4.525
Cd 2.811 -1.623 6.175
Cd 0.000 3.245 6.175
Hg -2.567 -4.446 5.350
Hg -5.134 0.000 5.350
Hg -1.676 -0.968 3.330
Hg 1.676 -0.968 3.330
Hg 0.000 1.936 3.330
Hg 2.567 -4.446 5.350
Hg -2.567 4.446 5.350
Hg 0.000 -1.936 7.370
Hg -1.676 0.968 7.370
Hg 1.676 0.968 7.370
Hg 5.134 0.000 5.350
Hg 2.567 4.446 5.350
```

no.,VASP energy (eV per atom)
1,-0.87
2,-0.56

=====

Density functional theory data (PBE) for crystalline CrPRh2 at its relaxed geometry.

Fermi-level density of states	3.1	states/eV/f.u.
E	-30.8	eV per cell
mass density	9103	kg/m3

Cell lengths 3.684, 5.358, 5.358 Å; angles 29.88, 90.00, 90.00 degrees
Fractional positions:
Cr 0.000 0.000 0.000
P 0.500 0.598 0.598
Rh 0.000 0.730 0.730
Rh 0.500 0.378 0.378



Density functional theory data (PBE) for crystalline CrAuCl3 at its relaxed geometry.

Fermi-level density of states	2.0	states/eV/f.u.
polymorph energy (0 for the lowest one)	0.0	meV/atom
mass density	5302	kg/m3

Cell lengths 4.810, 4.810, 4.810 Å; angles 90.00, 90.00, 90.00 degrees
Fractional positions:
Cr 0.000 0.000 0.000
Au 0.500 0.500 0.500
Cl 0.000 0.000 0.500
Cl 0.000 0.500 0.000
Cl 0.500 0.000 0.000



Density functional theory data (PBE) for crystalline Zr2PH2 at its relaxed geometry.

Fermi-level density of states	1.7	states/eV/f.u.
polymorph energy (0 for the lowest one)	17.4	meV/atom
mass density	5504	kg/m3

Cell lengths 6.027, 5.793, 5.368 Å; angles 65.24, 60.79, 53.98 degrees
Fractional positions:
Zr 0.094 0.094 0.656
Zr 0.344 0.344 0.906
Zr 0.656 0.656 0.094
Zr 0.906 0.906 0.344
P 0.375 0.375 0.375
P 0.625 0.625 0.625
H 0.001 0.249 0.001
H 0.249 0.001 0.249
H 0.751 0.999 0.751
H 0.999 0.751 0.999



Density functional theory data (PBE) for crystalline Sm2TmAg at its relaxed geometry.

Fermi-level density of states	3.6	states/eV/f.u.
polymorph energy (0 for the lowest one)	103.1	meV/atom
mass density	8158	kg/m3

Cell lengths 10.786, 10.786, 10.786 Å; angles 19.11, 19.11, 19.11 degrees
Fractional positions:
Sm 0.243 0.243 0.243
Sm 0.757 0.757 0.757
Tm 0.000 0.000 0.000
Ag 0.500 0.500 0.500



Density functional theory data (PBE) for crystalline HgBi3Pt4 at its relaxed geometry.

Fermi-level density of states	3.8	states/eV/f.u.
E	-36.6	eV per cell
mass density	14609	kg/m3

Cell lengths 6.435, 6.435, 6.435 Å; angles 130.70, 104.74, 95.36 degrees
Fractional positions:
Hg 0.000 0.000 0.000
Bi 0.140 0.407 0.733
Bi 0.582 0.082 0.500
Bi 0.675 0.407 0.267
Pt 0.278 0.017 0.739
Pt 0.278 0.539 0.261
Pt 0.536 0.716 0.820
Pt 0.896 0.716 0.180



Density functional theory data (PBE) for crystalline Na4HgPb at its relaxed geometry.

Fermi-level density of states	2.4	states/eV/f.u.

### Here it is
3